Request.
Now restate only the last part of the contents further below, starting with the line that has "-0.2582], [0.2008,".

File.
Record 1
{
  "formula": "C4H10O2S",
  "method": "wB97M-V/def2-TZVPD",
  "gap_ev": 9.71,
  "smiles": "CO[C@@H](CO)SC",
  "largest_force_ev_per_a": 1.80,
  "total_charge": 0,
  "spin_multiplicity": 1,
  "symbols": ["S", "O", "O", "C", "C", "C", "C", "H", "H", "H", "H", "H", "H", "H", "H", "H", "H"],
  "xyz": [[1.40421, -1.38701, -0.27480], [-0.45488, 0.51413, -0.73806], [-2.56426, -0.97349, 0.07101], [-1.32604, -1.60737, -0.12022], [2.49016, 0.05287, 0.04918], [-0.17078, -0.59216, 0.09076], [-0.59163, 1.76006, -0.04497], [-0.82835, 2.45070, -0.85629], [-0.06817, -0.21867, 1.13482], [0.30297, 2.04229, 0.50796], [-1.14075, -2.31544, 0.69619], [-1.40533, 1.68641, 0.70828], [3.54192, -0.23537, -0.10294], [-2.57349, -0.28869, -0.58348], [-1.27353, -2.13800, -1.07984], [2.42053, 0.32999, 1.10929], [2.23743, 0.91974, -0.56689]],
  "forces_ev_per_angstrom": [[0.5642, 0.4469, -0.3334], [0.3620, 0.4100, 0.0692], [0.0715, -0.7111, 0.4851], [1.1549, -0.0303, 1.3860], [0.1596, -0.2458, 0.5378], [-0.3757, 0.2448, -0.1047], [-0.6761, -0.6766, -0.0822], [0.0269, 0.2885, 0.4846], [-0.5499, -0.4676, -0.4088], [0.2864, 0.0693, -0.2286], [-0.6011, -0.2651, -0.2582], [0.2008, 0.1965, -0.5348], [-0.4982, -0.0166, -0.2241], [-0.2241, 0.7870, -0.6049], [0.2060, 0.2857, 0.0761], [-0.1270, -0.0002, -0.1987], [0.0197, -0.3156, -0.0603]]
}

Record 2
{
  "formula": "C28H22BrF4LiN2PS",
  "method": "wB97M-V/def2-TZVPD",
  "gap_ev": 6.20,
  "largest_force_ev_per_a": 3.22,
  "total_charge": -1,
  "spin_multiplicity": 1,
  "symbols": ["Br", "S", "P", "F", "F", "F", "F", "N", "N", "C", "C", "C", "C", "C", "C", "C", "C", "C", "C", "C", "C", "C", "C", "C", "C", "C", "C", "C", "C", "C", "C", "C", "C", "C", "C", "C", "C", "Li", "H", "H", "H", "H", "H", "H", "H", "H", "H", "H", "H", "H", "H", "H", "H", "H", "H", "H", "H", "H", "H", "H"],
  "xyz": [[1.52972, -3.31976, 0.73044], [-1.49592, 4.43160, 0.24682], [2.31753, -0.40432, -0.47874], [7.22071, -1.35456, 0.93223], [6.52042, -3.84051, 2.16509], [5.43052, -0.12184, -0.48772], [4.06964, -4.63511, 1.95912], [-4.44108, 1.00711, 1.59754], [-1.43387, 1.62453, 0.19839], [5.98455, -1.84486, 0.92347], [-5.30127, 1.57203, 0.56402], [-6.18708, -2.25997, 1.26378], [3.50674, -1.01080, -3.00515], [2.95615, 1.23254, 0.21569], [2.94916, 2.69745, 2.12131], [-5.23400, -1.28445, 1.15165], [-6.37630, -3.15374, 0.23286], [-4.44819, -2.23982, -0.90822], [1.97797, 0.85333, -4.26724], [3.67039, -1.46130, 0.19887], [3.49151, 2.29090, -0.54525], [1.84646, 0.70384, -2.94050], [2.77743, 0.01716, -5.01468], [3.59664, 3.53154, 0.00229], [4.30279, -3.43590, 1.44456], [-5.51096, -3.16592, -0.87681], [4.99901, -1.17831, 0.24706], [-3.96083, 1.95237, 2.61816], [3.33625, -2.66617, 0.77755], [3.52927, -0.94838, -4.38173], [-4.23751, -1.30713, 0.12949], [3.34068, 3.75046, 1.32378], [5.62292, -3.05254, 1.56014], [-1.45297, 2.78374, 0.16563], [2.67785, 1.48321, 1.52756], [2.70598, -0.20385, -2.23611], [-4.98049, -0.21758, 2.20851], [-2.72755, 0.23012, 0.37414], [-6.87871, -2.33897, 2.21330], [-5.82906, -3.86028, -1.68014], [-7.22926, -3.89172, 0.24757], [3.79875, 2.07162, -1.58732], [-5.92627, -0.04311, 2.76601], [3.79705, 4.28180, -0.73928], [-5.60302, 0.84666, -0.15019], [-4.80750, 2.38717, 0.04355], [2.25899, 0.66771, 2.10240], [-3.66570, -2.44456, -1.66811], [4.12711, -1.65803, -4.90033], [1.34478, 1.62729, -4.73036], [-3.55221, 2.90954, 2.16758], [1.07351, 1.26560, -2.36003], [-3.17572, 1.51213, 3.20958], [2.72479, 2.94714, 3.16829], [-6.23175, 2.00318, 0.98009], [3.41947, 4.75723, 1.68925], [2.76684, 0.11917, -6.10569], [-4.25498, -0.58479, 2.93864], [-4.86104, 2.13929, 3.21491], [4.13168, -1.76919, -2.55773]],

Written answer.
  "forces_ev_per_angstrom": [[0.5642, 0.4469, -0.3334], [0.3620, 0.4100, 0.0692], [0.0715, -0.7111, 0.4851], [1.1549, -0.0303, 1.3860], [0.1596, -0.2458, 0.5378], [-0.3757, 0.2448, -0.1047], [-0.6761, -0.6766, -0.0822], [0.0269, 0.2885, 0.4846], [-0.5499, -0.4676, -0.4088], [0.2864, 0.0693, -0.2286], [-0.6011, -0.2651, -0.2582], [0.2008, 0.1965, -0.5348], [-0.4982, -0.0166, -0.2241], [-0.2241, 0.7870, -0.6049], [0.2060, 0.2857, 0.0761], [-0.1270, -0.0002, -0.1987], [0.0197, -0.3156, -0.0603]]
}

Record 2
{
  "formula": "C28H22BrF4LiN2PS",
  "method": "wB97M-V/def2-TZVPD",
  "gap_ev": 6.20,
  "largest_force_ev_per_a": 3.22,
  "total_charge": -1,
  "spin_multiplicity": 1,
  "symbols": ["Br", "S", "P", "F", "F", "F", "F", "N", "N", "C", "C", "C", "C", "C", "C", "C", "C", "C", "C", "C", "C", "C", "C", "C", "C", "C", "C", "C", "C", "C", "C", "C", "C", "C", "C", "C", "C", "Li", "H", "H", "H", "H", "H", "H", "H", "H", "H", "H", "H", "H", "H", "H", "H", "H", "H", "H", "H", "H", "H", "H"],
  "xyz": [[1.52972, -3.31976, 0.73044], [-1.49592, 4.43160, 0.24682], [2.31753, -0.40432, -0.47874], [7.22071, -1.35456, 0.93223], [6.52042, -3.84051, 2.16509], [5.43052, -0.12184, -0.48772], [4.06964, -4.63511, 1.95912], [-4.44108, 1.00711, 1.59754], [-1.43387, 1.62453, 0.19839], [5.98455, -1.84486, 0.92347], [-5.30127, 1.57203, 0.56402], [-6.18708, -2.25997, 1.26378], [3.50674, -1.01080, -3.00515], [2.95615, 1.23254, 0.21569], [2.94916, 2.69745, 2.12131], [-5.23400, -1.28445, 1.15165], [-6.37630, -3.15374, 0.23286], [-4.44819, -2.23982, -0.90822], [1.97797, 0.85333, -4.26724], [3.67039, -1.46130, 0.19887], [3.49151, 2.29090, -0.54525], [1.84646, 0.70384, -2.94050], [2.77743, 0.01716, -5.01468], [3.59664, 3.53154, 0.00229], [4.30279, -3.43590, 1.44456], [-5.51096, -3.16592, -0.87681], [4.99901, -1.17831, 0.24706], [-3.96083, 1.95237, 2.61816], [3.33625, -2.66617, 0.77755], [3.52927, -0.94838, -4.38173], [-4.23751, -1.30713, 0.12949], [3.34068, 3.75046, 1.32378], [5.62292, -3.05254, 1.56014], [-1.45297, 2.78374, 0.16563], [2.67785, 1.48321, 1.52756], [2.70598, -0.20385, -2.23611], [-4.98049, -0.21758, 2.20851], [-2.72755, 0.23012, 0.37414], [-6.87871, -2.33897, 2.21330], [-5.82906, -3.86028, -1.68014], [-7.22926, -3.89172, 0.24757], [3.79875, 2.07162, -1.58732], [-5.92627, -0.04311, 2.76601], [3.79705, 4.28180, -0.73928], [-5.60302, 0.84666, -0.15019], [-4.80750, 2.38717, 0.04355], [2.25899, 0.66771, 2.10240], [-3.66570, -2.44456, -1.66811], [4.12711, -1.65803, -4.90033], [1.34478, 1.62729, -4.73036], [-3.55221, 2.90954, 2.16758], [1.07351, 1.26560, -2.36003], [-3.17572, 1.51213, 3.20958], [2.72479, 2.94714, 3.16829], [-6.23175, 2.00318, 0.98009], [3.41947, 4.75723, 1.68925], [2.76684, 0.11917, -6.10569], [-4.25498, -0.58479, 2.93864], [-4.86104, 2.13929, 3.21491], [4.13168, -1.76919, -2.55773]],